-- Activity --
Your job: search the entries underneath for the word "Output" and set down each line that has it.

-- Listing --
┌──
# 1
The following is a quantum chemistry calculation of C39H46FeOP2 as an isolated structure in a non-equilibrium geometry, from the Open Molecules 2025 dataset.

```
89
Properties=species:S:1:pos:R:3:lowdin_spin:R:1
Fe 0.50 -0.41 -1.64 3.618
C -2.76 -0.06 -0.26 0.010
C -2.28 -0.19 -1.52 0.000
C -2.37 0.82 -2.63 0.000
C -1.10 1.66 -2.90 0.014
C -0.37 2.13 -1.67 -0.001
C -0.99 2.67 -0.59 0.035
C -2.42 2.54 -0.20 0.005
C -2.95 1.21 0.48 0.004
C 2.48 -0.41 -1.93 0.045
H -3.07 -0.97 0.29 0.001
H -2.02 -1.22 -1.85 0.000
H -3.25 1.46 -2.46 0.000
H -2.61 0.28 -3.56 0.000
H -0.42 1.12 -3.58 0.010
H -1.45 2.51 -3.50 0.000
H 0.71 2.32 -1.81 0.002
H -0.41 3.35 0.05 0.001
H -3.07 2.77 -1.06 0.001
H -2.59 3.32 0.57 0.000
H -2.53 1.14 1.50 0.000
H -4.04 1.36 0.64 0.001
H 2.87 -0.91 -1.03 0.008
H 2.88 0.61 -2.00 0.012
H 2.70 -1.01 -2.84 0.021
P -0.33 -1.58 -8.12 0.000
P 1.35 0.41 -8.63 0.000
C -1.21 -0.16 -8.80 0.000
C -0.33 0.80 -9.19 0.000
C -0.66 -2.84 -9.39 0.000
C -1.75 -2.72 -10.27 0.000
C -1.96 -3.67 -11.27 0.000
C -1.09 -4.76 -11.40 0.000
C 0.02 -4.87 -10.56 0.000
C 0.25 -3.91 -9.57 0.000
C -1.30 -2.01 -6.66 0.000
C -1.00 -1.25 -5.51 0.001
C -1.53 -1.64 -4.28 0.005
C -2.56 -2.58 -4.20 0.000
C -2.86 -3.34 -5.35 0.000
C -2.19 -3.09 -6.55 0.000
C 2.33 0.77 -10.17 0.000
C 2.16 -0.04 -11.31 0.000
C 2.79 0.31 -12.51 0.000
C 3.59 1.46 -12.60 0.000
C 3.78 2.25 -11.46 0.000
C 3.15 1.91 -10.26 0.000
C 1.68 1.83 -7.54 0.000
C 2.94 1.92 -6.91 0.000
C 3.30 3.09 -6.24 0.000
C 2.40 4.16 -6.15 0.000
C 1.11 4.02 -6.68 0.000
C 0.74 2.85 -7.35 0.000
H -2.30 -0.20 -8.88 0.000
H -0.50 1.74 -9.71 0.000
H -2.42 -1.86 -10.19 0.000
H -2.81 -3.56 -11.94 0.000
H -1.28 -5.52 -12.16 0.000
H 0.72 -5.70 -10.68 0.000
H 1.13 -3.96 -8.93 0.000
H -0.30 -0.42 -5.57 0.000
H -1.11 -1.22 -3.37 0.005
H -3.11 -2.74 -3.27 0.000
H -3.59 -4.15 -5.27 0.000
H -2.33 -3.77 -7.40 0.000
H 1.52 -0.92 -11.26 0.000
H 2.65 -0.32 -13.40 0.000
H 4.06 1.74 -13.54 0.000
H 4.41 3.14 -11.52 0.000
H 3.29 2.55 -9.39 0.000
H 3.64 1.09 -6.99 0.000
H 4.29 3.17 -5.79 0.000
H 2.70 5.09 -5.65 0.000
H 0.38 4.82 -6.58 0.000
H -0.27 2.76 -7.75 0.000
C 1.77 -1.23 1.85 0.003
C 0.47 -0.53 1.46 0.018
C -0.65 -0.91 2.45 0.005
C 0.71 0.97 1.55 0.003
O 0.13 -0.86 0.13 0.171
H 2.19 -0.85 2.80 0.000
H 2.51 -1.07 1.05 0.000
H 1.60 -2.31 1.93 0.000
H -0.59 -0.33 3.39 0.001
H -1.64 -0.72 1.99 0.000
H -0.62 -1.98 2.72 0.000
H 1.51 1.23 0.85 0.000
H -0.18 1.50 1.20 0.000
H 0.96 1.34 2.55 0.000
```

Output
DFT total energy: -96195.6650 eV
largest force on an atom: 2.4 eV/Å
<S²>: 6.021
E_HOMO (spin up / spin down): -6.5344 / -6.5343 eV
2S+1: 5

=====

# 2
The following is a quantum chemistry calculation of C39H47O7P2Ti as an isolated structure, from the Open Molecules 2025 dataset.

```
96
Properties=species:S:1:pos:R:3:lowdin_charge:R:1
Ti -0.95 1.93 0.52 0.970
O 2.09 4.01 0.58 0.092
C 1.10 3.82 -0.09 -0.550
O 0.60 2.61 -0.33 -0.198
C 0.42 4.93 -0.85 -0.138
C 1.21 6.06 -1.09 -0.027
C 0.72 7.11 -1.84 -0.094
C -0.57 7.05 -2.34 -0.098
C -1.37 5.95 -2.07 -0.117
C -0.89 4.86 -1.32 -0.357
P -2.15 3.52 -1.02 1.006
C -2.72 0.82 0.02 -0.271
C -3.77 0.88 0.94 -0.121
C -4.93 0.14 0.77 -0.107
C -5.08 -0.69 -0.33 -0.118
C -4.06 -0.76 -1.27 -0.113
C -2.89 -0.03 -1.08 -0.160
C -2.00 2.70 -2.67 -0.433
C -3.17 2.26 -3.31 -0.134
C -3.11 1.60 -4.54 -0.108
C -1.89 1.37 -5.15 -0.117
C -0.73 1.81 -4.53 -0.099
C -0.78 2.47 -3.31 -0.091
H 2.21 6.08 -0.68 0.112
H 1.34 7.98 -2.04 0.093
H -0.97 7.87 -2.93 0.094
H -2.39 5.92 -2.42 0.091
H -3.69 1.54 1.80 0.099
H -5.73 0.21 1.51 0.093
H -5.99 -1.26 -0.47 0.089
H -4.16 -1.40 -2.14 0.096
H -2.09 -0.12 -1.81 0.100
H -4.12 2.44 -2.84 0.096
H -4.03 1.27 -5.01 0.093
H -1.85 0.86 -6.10 0.089
H 0.24 1.64 -5.01 0.094
H 0.13 2.80 -2.84 0.095
O -0.13 1.90 4.49 0.095
C -0.54 2.13 3.38 -0.509
O -0.70 1.25 2.42 -0.159
C -0.90 3.56 2.87 -0.497
O -0.91 4.53 3.59 0.119
O -1.21 3.54 1.59 -0.188
O -0.05 0.08 0.11 -0.394
P 0.52 -1.09 0.90 0.911
C -0.84 -1.78 1.92 -0.313
C -0.54 -2.47 3.27 -0.168
└──

-- Reply --
Output